To do =
Reproduce the lines underneath from the first line to the one with "0.6610 0.6037" without altering anything.
Excerpt =
=====
(1)
NaTl2SeCl6: computed powder XRD pattern (Cu Kα X-rays), based on a cell relaxed with PBE.

Structure:
```
data_NaTl2SeCl6
_cell_length_a 13.2845
_cell_length_b 13.2845
_cell_length_c 13.2845
_cell_angle_alpha 32.53
_cell_angle_beta 32.53
_cell_angle_gamma 32.53
_space_group_name_H-M_alt 'P 1'
_space_group_IT_number 1
_space_group_name_Hall 'P 1'
loop_
_atom_site_label
_atom_site_type_symbol
_atom_site_fract_x
_atom_site_fract_y
_atom_site_fract_z
Na1 Na 0.0874 0.0874 0.0874
Na2 Na 0.9126 0.9126 0.9126
Tl1 Tl 0.2272 0.2272 0.2272
Tl2 Tl 0.3557 0.3557 0.3557
Tl3 Tl 0.6443 0.6443 0.6443
Tl4 Tl 0.7728 0.7728 0.7728
Se1 Se 0.0000 0.0000 0.0000
Se2 Se 0.5000 0.5000 0.5000
Cl1 Cl 0.1289 0.1289 0.6127
Cl2 Cl 0.1289 0.6127 0.1289
Cl3 Cl 0.2310 0.6904 0.6904
Cl4 Cl 0.3096 0.3096 0.7690
Cl5 Cl 0.3096 0.7690 0.3096
Cl6 Cl 0.3873 0.8711 0.8711
Cl7 Cl 0.6127 0.1289 0.1289
Cl8 Cl 0.6904 0.2310 0.6904
Cl9 Cl 0.6904 0.6904 0.2310
Cl10 Cl 0.7690 0.3096 0.3096
Cl11 Cl 0.8711 0.3873 0.8711
Cl12 Cl 0.8711 0.8711 0.3873
```

Peak list (10 most intense, 10° ≤ 2θ ≤ 90°, in order of falling intensity)
two_theta	I_rel
23.9	100
32.4	77
21.5	74
49.0	38
32.2	37
23.4	35
30.2	33
40.7	30
42.1	23
36.1	22

=====

(2)
NaSn2Cl5: computed powder XRD pattern (Cu Kα X-rays), based on a cell relaxed with PBE.

Structure:
```
data_NaSn2Cl5
_cell_length_a 8.7121
_cell_length_b 12.1353
_cell_length_c 8.7876
_cell_angle_alpha 90.00
_cell_angle_beta 90.00
_cell_angle_gamma 90.00
_space_group_name_H-M_alt 'P 1'
_space_group_IT_number 1
_space_group_name_Hall 'P 1'
loop_
_atom_site_label
_atom_site_type_symbol
_atom_site_fract_x
_atom_site_fract_y
_atom_site_fract_z
Na1 Na 0.0000 0.0000 0.2466
Na2 Na 0.0000 0.0000 0.7534
Na3 Na 0.5000 0.5000 0.2534
Na4 Na 0.5000 0.5000 0.7466
Sn1 Sn 0.0570 0.3329 0.5000
Sn2 Sn 0.0604 0.3272 0.0000
Sn3 Sn 0.4396 0.8272 0.5000
Sn4 Sn 0.4430 0.8329 0.0000
Sn5 Sn 0.5570 0.1671 0.0000
Sn6 Sn 0.5604 0.1728 0.5000
Sn7 Sn 0.9396 0.6728 0.0000
Sn8 Sn 0.9430 0.6671 0.5000
Cl1 Cl 0.0000 0.5000 0.2957
Cl2 Cl 0.0000 0.5000 0.7043
Cl3 Cl 0.1610 0.8963 0.0000
Cl4 Cl 0.1670 0.2049 0.2210
Cl5 Cl 0.1670 0.2049 0.7790
Cl6 Cl 0.1773 0.9285 0.5000
Cl7 Cl 0.3227 0.4285 0.0000
Cl8 Cl 0.3330 0.7049 0.2790
Cl9 Cl 0.3330 0.7049 0.7210
Cl10 Cl 0.3390 0.3963 0.5000
Cl11 Cl 0.5000 0.0000 0.2043
Cl12 Cl 0.5000 0.0000 0.7957
Cl13 Cl 0.6610 0.6037 0.5000
Cl14 Cl 0.6670 0.2951 0.2790
Cl15 Cl 0.6670 0.2951 0.7210
Cl16 Cl 0.6773 0.5715 0.0000
Cl17 Cl 0.8227 0.0715 0.5000
Cl18 Cl 0.8330 0.7951 0.2210
Cl19 Cl 0.8330 0.7951 0.7790
Cl20 Cl 0.8390 0.1037 0.0000
```

Peak list (10 most intense, 10° ≤ 2θ ≤ 90°, in order of falling intensity)
two_theta	I_rel
31.8	100
27.1	54
21.7	51
32.5	50
24.3	43
47.2	39
12.5	39
20.2	37
41.1	27
20.4	27

=====

(3)
Na3Sn2Cl7: computed powder XRD pattern (Cu Kα X-rays), based on a cell relaxed with PBE.

Structure:
```
data_Na3Sn2Cl7
_cell_length_a 12.9331
_cell_length_b 12.9331
_cell_length_c 7.6759
_cell_angle_alpha 90.00
_cell_angle_beta 90.00
_cell_angle_gamma 32.14
_space_group_name_H-M_alt 'P 1'
_space_group_IT_number 1
_space_group_name_Hall 'P 1'
loop_
_atom_site_label
_atom_site_type_symbol
_atom_site_fract_x
_atom_site_fract_y
_atom_site_fract_z
Na1 Na 0.0629 0.5441 0.5858
Na2 Na 0.2285 0.7715 0.5000
Na3 Na 0.4559 0.9371 0.5858
Na4 Na 0.5441 0.0629 0.0858
Na5 Na 0.7715 0.2285 0.0000
Na6 Na 0.9371 0.4559 0.0858
Sn1 Sn 0.1369 0.6476 0.0083
Sn2 Sn 0.3524 0.8631 0.0083
Sn3 Sn 0.6476 0.1369 0.5083
Sn4 Sn 0.8631 0.3524 0.5083
Cl1 Cl 0.0839 0.2235 0.7834
Cl2 Cl 0.1089 0.8911 0.1660
Cl3 Cl 0.1755 0.4116 0.9425
Cl4 Cl 0.2235 0.0839 0.2834
Cl5 Cl 0.3270 0.5013 0.6485
Cl6 Cl 0.4116 0.1755 0.4425
Cl7 Cl 0.4987 0.6730 0.6485
Cl8 Cl 0.5013 0.3270 0.1485
Cl9 Cl 0.5884 0.8245 0.9425
Cl10 Cl 0.6730 0.4987 0.1485
Cl11 Cl 0.7765 0.9161 0.7834
Cl12 Cl 0.8245 0.5884 0.4425
Cl13 Cl 0.8911 0.1089 0.6660
Cl14 Cl 0.9161 0.7765 0.2834
```

Peak list (10 most intense, 10° ≤ 2θ ≤ 90°, in order of falling intensity)
two_theta	I_rel
17.3	100
24.7	95
14.3	76
=====
Response =
(1)
NaTl2SeCl6: computed powder XRD pattern (Cu Kα X-rays), based on a cell relaxed with PBE.

Structure:
```
data_NaTl2SeCl6
_cell_length_a 13.2845
_cell_length_b 13.2845
_cell_length_c 13.2845
_cell_angle_alpha 32.53
_cell_angle_beta 32.53
_cell_angle_gamma 32.53
_space_group_name_H-M_alt 'P 1'
_space_group_IT_number 1
_space_group_name_Hall 'P 1'
loop_
_atom_site_label
_atom_site_type_symbol
_atom_site_fract_x
_atom_site_fract_y
_atom_site_fract_z
Na1 Na 0.0874 0.0874 0.0874
Na2 Na 0.9126 0.9126 0.9126
Tl1 Tl 0.2272 0.2272 0.2272
Tl2 Tl 0.3557 0.3557 0.3557
Tl3 Tl 0.6443 0.6443 0.6443
Tl4 Tl 0.7728 0.7728 0.7728
Se1 Se 0.0000 0.0000 0.0000
Se2 Se 0.5000 0.5000 0.5000
Cl1 Cl 0.1289 0.1289 0.6127
Cl2 Cl 0.1289 0.6127 0.1289
Cl3 Cl 0.2310 0.6904 0.6904
Cl4 Cl 0.3096 0.3096 0.7690
Cl5 Cl 0.3096 0.7690 0.3096
Cl6 Cl 0.3873 0.8711 0.8711
Cl7 Cl 0.6127 0.1289 0.1289
Cl8 Cl 0.6904 0.2310 0.6904
Cl9 Cl 0.6904 0.6904 0.2310
Cl10 Cl 0.7690 0.3096 0.3096
Cl11 Cl 0.8711 0.3873 0.8711
Cl12 Cl 0.8711 0.8711 0.3873
```

Peak list (10 most intense, 10° ≤ 2θ ≤ 90°, in order of falling intensity)
two_theta	I_rel
23.9	100
32.4	77
21.5	74
49.0	38
32.2	37
23.4	35
30.2	33
40.7	30
42.1	23
36.1	22

=====

(2)
NaSn2Cl5: computed powder XRD pattern (Cu Kα X-rays), based on a cell relaxed with PBE.

Structure:
```
data_NaSn2Cl5
_cell_length_a 8.7121
_cell_length_b 12.1353
_cell_length_c 8.7876
_cell_angle_alpha 90.00
_cell_angle_beta 90.00
_cell_angle_gamma 90.00
_space_group_name_H-M_alt 'P 1'
_space_group_IT_number 1
_space_group_name_Hall 'P 1'
loop_
_atom_site_label
_atom_site_type_symbol
_atom_site_fract_x
_atom_site_fract_y
_atom_site_fract_z
Na1 Na 0.0000 0.0000 0.2466
Na2 Na 0.0000 0.0000 0.7534
Na3 Na 0.5000 0.5000 0.2534
Na4 Na 0.5000 0.5000 0.7466
Sn1 Sn 0.0570 0.3329 0.5000
Sn2 Sn 0.0604 0.3272 0.0000
Sn3 Sn 0.4396 0.8272 0.5000
Sn4 Sn 0.4430 0.8329 0.0000
Sn5 Sn 0.5570 0.1671 0.0000
Sn6 Sn 0.5604 0.1728 0.5000
Sn7 Sn 0.9396 0.6728 0.0000
Sn8 Sn 0.9430 0.6671 0.5000
Cl1 Cl 0.0000 0.5000 0.2957
Cl2 Cl 0.0000 0.5000 0.7043
Cl3 Cl 0.1610 0.8963 0.0000
Cl4 Cl 0.1670 0.2049 0.2210
Cl5 Cl 0.1670 0.2049 0.7790
Cl6 Cl 0.1773 0.9285 0.5000
Cl7 Cl 0.3227 0.4285 0.0000
Cl8 Cl 0.3330 0.7049 0.2790
Cl9 Cl 0.3330 0.7049 0.7210
Cl10 Cl 0.3390 0.3963 0.5000
Cl11 Cl 0.5000 0.0000 0.2043
Cl12 Cl 0.5000 0.0000 0.7957
Cl13 Cl 0.6610 0.6037 0.5000